_Exercise_
What is needed: transcribe all of the rows underneath with every line break kept.
_Data_
-- begin --
[1]
InNi3 | GGA-PBE | optimized geometry

abc: 2.816 2.816 8.168
angles: 90.00 80.07 120.00
Fractional positions:
Ni  0.512  0.756  0.732
Ni  0.000  0.500  0.500
Ni  0.488  0.244  0.268
In  0.000  0.000  0.000

Output
- Final energy: -4.728 eV per atom

=====

[2]
SrAg | GGA-PBE | optimized geometry

abc: 4.865 6.406 16.617
angles: 90.00 90.00 90.00
Fractional positions:
Ag  0.250  0.497  0.857
Ag  0.750  0.744  0.892
Ag  0.250  0.003  0.357
Ag  0.750  0.997  0.643
Ag  0.750  0.756  0.392
Ag  0.250  0.244  0.608
Ag  0.750  0.503  0.143
Ag  0.250  0.256  0.108
Sr  0.750  0.013  0.215
Sr  0.750  0.246  0.465
Sr  0.750  0.254  0.965
Sr  0.250  0.746  0.035
Sr  0.250  0.987  0.785
Sr  0.250  0.754  0.535
Sr  0.750  0.487  0.715
Sr  0.250  0.513  0.285

Output
- Final energy: -2.580 eV per atom

=====

[3]
Zr2InNi2 | GGA-PBE | optimized geometry

abc: 7.239 7.239 6.671
angles: 90.00 90.00 90.00
Fractional positions:
Ni  0.625  0.625  0.730
Ni  0.625  0.625  0.270
Ni  0.125  0.875  0.230
Ni  0.125  0.875  0.770
Ni  0.375  0.375  0.730
Ni  0.375  0.375  0.270
Ni  0.875  0.125  0.770
Ni  0.875  0.125  0.230
Zr  0.161  0.161  0.500
Zr  0.823  0.823  0.000
Zr  0.177  0.177  0.000
Zr  0.839  0.839  0.500
Zr  0.323  0.677  0.500
Zr  0.661  0.339  0.000
Zr  0.339  0.661  0.000
Zr  0.677  0.323  0.500
In  0.000  0.500  0.750
In  0.000  0.500  0.250
In  0.500  0.000  0.750
In  0.500  0.000  0.250

Output
- Final energy: -6.783 eV per atom


[1]
Material: Na4Sc3TaSi3S3O24
Method: DFT, PBE
State: relaxed

## Properties
E_form (eV/atom): -2.828
Final energy (eV/atom): -7.2255

```
data_Na4Sc3TaSi3S3O24
_space_group_name_H-M_alt 'P 1'
_space_group_IT_number 1
_cell_length_a 9.0130
_cell_length_b 9.0162
_cell_length_c 23.0241
_cell_angle_alpha 89.93
_cell_angle_beta 89.85
_cell_angle_gamma 60.09
loop_
_space_group_symop_operation_xyz
'x,y,z'
loop_
_atom_site_label
_atom_site_fract_x
_atom_site_fract_y
_atom_site_fract_z
_atom_site_occupancy
Na1 0.0000 0.0000 0.0000 1
Na2 0.0008 0.0000 0.4972 1
Na3 0.3221 0.3327 0.8379 1
Na4 0.3326 0.6939 0.5755 1
Na5 0.3344 0.3437 0.3251 1
Na6 0.6263 0.3737 0.7447 1
Na7 0.6373 0.9933 0.2407 1
Na8 0.6533 0.6657 0.1649 1
Na9 0.6672 0.6781 0.6559 1
Na10 0.6931 0.9750 0.5760 1
Na11 0.9749 0.3323 0.5757 1
Na12 0.9986 0.3676 0.2409 1
Sc1 0.0023 0.9975 0.6382 1
Sc2 0.0023 0.9982 0.1460 1
Sc3 0.3276 0.3322 0.6740 1
Sc4 0.3341 0.3332 0.4811 1
Sc5 0.3346 0.3336 0.9701 1
Sc6 0.3351 0.3403 0.1852 1
Sc7 0.6607 0.6665 0.3053 1
Sc8 0.6667 0.6658 0.5149 1
Sc9 0.6678 0.6716 0.8140 1
Ta1 0.0022 0.9983 0.3420 1
Ta2 0.0026 0.9984 0.8557 1
Ta3 0.6671 0.6662 0.0076 1
Si1 0.0011 0.7086 0.2434 1
Si2 0.0422 0.6235 0.5769 1
Si3 0.2932 0.9979 0.2419 1
Si4 0.3347 0.0422 0.5771 1
Si5 0.3796 0.9587 0.9096 1
Si6 0.6238 0.3340 0.5799 1
Si7 0.6629 0.3793 0.9069 1
Si8 0.7103 0.2908 0.2429 1
Si9 0.9593 0.6618 0.9093 1
S1 0.0017 0.2872 0.7454 1
S2 0.0348 0.3384 0.0768 1
S3 0.2892 0.7106 0.7455 1
S4 0.3383 0.6259 0.0760 1
S5 0.3667 0.6704 0.4105 1
S6 0.6272 0.0344 0.0768 1
S7 0.6705 0.9634 0.4096 1
S8 0.7126 0.9992 0.7455 1
S9 0.9639 0.3664 0.4095 1
O1 0.0123 0.1861 0.0792 1
O2 0.0139 0.1783 0.7969 1
O3 0.0171 0.8150 0.5858 1
O4 0.0280 0.8067 0.3017 1
O5 0.1082 0.3619 0.1314 1
O6 0.1209 0.4988 0.6335 1
O7 0.1363 0.3465 0.4125 1
O8 0.1416 0.3227 0.0264 1
O9 0.1478 0.5078 0.9206 1
O10 0.1571 0.3024 0.7443 1
O11 0.1654 0.0276 0.3003 1
O12 0.1674 0.5188 0.2391 1
O13 0.1678 0.5447 0.5212 1
O14 0.1688 0.0162 0.5862 1
O15 0.1813 0.8078 0.7968 1
O16 0.1867 0.7999 0.0798 1
O17 0.1891 0.9687 0.9011 1
O18 0.1919 0.8306 0.4047 1
O19 0.2065 0.9656 0.1864 1
O20 0.2082 0.8062 0.6916 1
O21 0.2873 0.1680 0.5213 1
O22 0.3004 0.1754 0.2382 1
O23 0.3056 0.5381 0.7457 1
O24 0.3217 0.5395 0.0247 1
O25 0.3444 0.1478 0.9207 1
O26 0.3470 0.5177 0.4127 1
O27 0.3614 0.5244 0.1295 1
O28 0.3808 0.1206 0.6338 1
O29 0.4425 0.6933 0.4645 1
O30 0.4640 0.6899 0.7483 1
O31 0.4714 0.8304 0.9671 1
O32 0.4734 0.6562 0.3597 1
O33 0.4852 0.8412 0.2528 1
O34 0.4899 0.8718 0.8528 1
-- stop --
_Response_
[1]
InNi3 | GGA-PBE | optimized geometry

abc: 2.816 2.816 8.168
angles: 90.00 80.07 120.00
Fractional positions:
Ni  0.512  0.756  0.732
Ni  0.000  0.500  0.500
Ni  0.488  0.244  0.268
In  0.000  0.000  0.000

Output
- Final energy: -4.728 eV per atom

=====

[2]
SrAg | GGA-PBE | optimized geometry

abc: 4.865 6.406 16.617
angles: 90.00 90.00 90.00
Fractional positions:
Ag  0.250  0.497  0.857
Ag  0.750  0.744  0.892
Ag  0.250  0.003  0.357
Ag  0.750  0.997  0.643
Ag  0.750  0.756  0.392
Ag  0.250  0.244  0.608
Ag  0.750  0.503  0.143
Ag  0.250  0.256  0.108
Sr  0.750  0.013  0.215
Sr  0.750  0.246  0.465
Sr  0.750  0.254  0.965
Sr  0.250  0.746  0.035
Sr  0.250  0.987  0.785
Sr  0.250  0.754  0.535
Sr  0.750  0.487  0.715
Sr  0.250  0.513  0.285

Output
- Final energy: -2.580 eV per atom

=====

[3]
Zr2InNi2 | GGA-PBE | optimized geometry

abc: 7.239 7.239 6.671
angles: 90.00 90.00 90.00
Fractional positions:
Ni  0.625  0.625  0.730
Ni  0.625  0.625  0.270
Ni  0.125  0.875  0.230
Ni  0.125  0.875  0.770
Ni  0.375  0.375  0.730
Ni  0.375  0.375  0.270
Ni  0.875  0.125  0.770
Ni  0.875  0.125  0.230
Zr  0.161  0.161  0.500
Zr  0.823  0.823  0.000
Zr  0.177  0.177  0.000
Zr  0.839  0.839  0.500
Zr  0.323  0.677  0.500
Zr  0.661  0.339  0.000
Zr  0.339  0.661  0.000
Zr  0.677  0.323  0.500
In  0.000  0.500  0.750
In  0.000  0.500  0.250
In  0.500  0.000  0.750
In  0.500  0.000  0.250

Output
- Final energy: -6.783 eV per atom


[1]
Material: Na4Sc3TaSi3S3O24
Method: DFT, PBE
State: relaxed

## Properties
E_form (eV/atom): -2.828
Final energy (eV/atom): -7.2255

```
data_Na4Sc3TaSi3S3O24
_space_group_name_H-M_alt 'P 1'
_space_group_IT_number 1
_cell_length_a 9.0130
_cell_length_b 9.0162
_cell_length_c 23.0241
_cell_angle_alpha 89.93
_cell_angle_beta 89.85
_cell_angle_gamma 60.09
loop_
_space_group_symop_operation_xyz
'x,y,z'
loop_
_atom_site_label
_atom_site_fract_x
_atom_site_fract_y
_atom_site_fract_z
_atom_site_occupancy
Na1 0.0000 0.0000 0.0000 1
Na2 0.0008 0.0000 0.4972 1
Na3 0.3221 0.3327 0.8379 1
Na4 0.3326 0.6939 0.5755 1
Na5 0.3344 0.3437 0.3251 1
Na6 0.6263 0.3737 0.7447 1
Na7 0.6373 0.9933 0.2407 1
Na8 0.6533 0.6657 0.1649 1
Na9 0.6672 0.6781 0.6559 1
Na10 0.6931 0.9750 0.5760 1
Na11 0.9749 0.3323 0.5757 1
Na12 0.9986 0.3676 0.2409 1
Sc1 0.0023 0.9975 0.6382 1
Sc2 0.0023 0.9982 0.1460 1
Sc3 0.3276 0.3322 0.6740 1
Sc4 0.3341 0.3332 0.4811 1
Sc5 0.3346 0.3336 0.9701 1
Sc6 0.3351 0.3403 0.1852 1
Sc7 0.6607 0.6665 0.3053 1
Sc8 0.6667 0.6658 0.5149 1
Sc9 0.6678 0.6716 0.8140 1
Ta1 0.0022 0.9983 0.3420 1
Ta2 0.0026 0.9984 0.8557 1
Ta3 0.6671 0.6662 0.0076 1
Si1 0.0011 0.7086 0.2434 1
Si2 0.0422 0.6235 0.5769 1
Si3 0.2932 0.9979 0.2419 1
Si4 0.3347 0.0422 0.5771 1
Si5 0.3796 0.9587 0.9096 1
Si6 0.6238 0.3340 0.5799 1
Si7 0.6629 0.3793 0.9069 1
Si8 0.7103 0.2908 0.2429 1
Si9 0.9593 0.6618 0.9093 1
S1 0.0017 0.2872 0.7454 1
S2 0.0348 0.3384 0.0768 1
S3 0.2892 0.7106 0.7455 1
S4 0.3383 0.6259 0.0760 1
S5 0.3667 0.6704 0.4105 1
S6 0.6272 0.0344 0.0768 1
S7 0.6705 0.9634 0.4096 1
S8 0.7126 0.9992 0.7455 1
S9 0.9639 0.3664 0.4095 1
O1 0.0123 0.1861 0.0792 1
O2 0.0139 0.1783 0.7969 1
O3 0.0171 0.8150 0.5858 1
O4 0.0280 0.8067 0.3017 1
O5 0.1082 0.3619 0.1314 1
O6 0.1209 0.4988 0.6335 1
O7 0.1363 0.3465 0.4125 1
O8 0.1416 0.3227 0.0264 1
O9 0.1478 0.5078 0.9206 1
O10 0.1571 0.3024 0.7443 1
O11 0.1654 0.0276 0.3003 1
O12 0.1674 0.5188 0.2391 1
O13 0.1678 0.5447 0.5212 1
O14 0.1688 0.0162 0.5862 1
O15 0.1813 0.8078 0.7968 1
O16 0.1867 0.7999 0.0798 1
O17 0.1891 0.9687 0.9011 1
O18 0.1919 0.8306 0.4047 1
O19 0.2065 0.9656 0.1864 1
O20 0.2082 0.8062 0.6916 1
O21 0.2873 0.1680 0.5213 1
O22 0.3004 0.1754 0.2382 1
O23 0.3056 0.5381 0.7457 1
O24 0.3217 0.5395 0.0247 1
O25 0.3444 0.1478 0.9207 1
O26 0.3470 0.5177 0.4127 1
O27 0.3614 0.5244 0.1295 1
O28 0.3808 0.1206 0.6338 1
O29 0.4425 0.6933 0.4645 1
O30 0.4640 0.6899 0.7483 1
O31 0.4714 0.8304 0.9671 1
O32 0.4734 0.6562 0.3597 1
O33 0.4852 0.8412 0.2528 1
O34 0.4899 0.8718 0.8528 1